[Input]
+++
A geometry-optimized MnCdH structure, computed with PBE-GGA.

The structure in POSCAR format:
```
MnCdH
1.0
-1.695 -0.832 2.011
-1.405 -1.528 -1.817
2.809 -3.617 0.871
Mn Cd H
1 1 1
direct
0.000 0.000 0.500
0.500 0.500 0.000
0.500 0.500 0.500
```

**Space-group type**: P4/mmm
**Polymorph energy (0 for the lowest one)**: 28 kJ/mol of formula units
**Magnetic moment**: 0.94 μB/atom
**DOS(E_F)**: 0.94 states/eV/cell
**ρ**: 7.88 g/cm3


A geometry-optimized Na2LaTl2 structure, computed with PBE-GGA.

The structure in POSCAR format:
```
Na2LaTl2
1.0
9.193 0.000 0.000
0.000 9.193 0.000
0.000 0.000 3.399
Na Tl La
4 4 2
direct
0.385 0.885 0.000
0.885 0.615 0.000
0.615 0.115 0.000
0.115 0.385 0.000
0.186 0.686 0.500
0.686 0.814 0.500
0.814 0.314 0.500
0.314 0.186 0.500
0.000 0.000 0.000
0.500 0.500 0.000
```

**Space-group type**: P4/mbm
**Polymorph energy (0 for the lowest one)**: 9 kJ/mol of formula units
**Energy of formation**: -0.109 eV per atom
**Magnetic moment**: 0.08 μB/atom
**DOS(E_F)**: 7.39 states/eV/cell
**ρ**: 6.86 g/cm3


A geometry-optimized Tb4InCo2 structure, computed with PBE-GGA.

The structure in POSCAR format:
```
Tb4InCo2
1.0
6.794 0.572 0.963
0.093 7.121 -1.188
-2.667 -4.814 7.579
Tb In Co
8 2 4
direct
0.946 0.023 0.207
0.345 0.661 0.251
0.771 0.719 0.733
0.875 0.112 0.603
0.457 0.234 0.345
0.438 0.146 0.759
0.320 0.662 0.870
0.815 0.460 0.152
0.145 0.653 0.527
0.154 0.126 0.963
0.718 0.561 0.911
0.632 0.846 0.213
0.576 0.060 0.021
0.058 0.485 0.945
```

**Space-group type**: P1
**Energy of formation**: -0.166 eV per atom
**Magnetic moment**: 0.00 μB/atom
**DOS(E_F)**: 11.69 states/eV/cell
**ρ**: 8.31 g/cm3


A geometry-optimized LaMgMoS4 structure, computed with PBE-GGA.

The structure in POSCAR format:
```
LaMgMoS4
1.0
-5.986 2.313 4.410
-4.443 0.275 -6.388
3.730 -6.556 1.931
La Mg Mo S
2 2 2 8
direct
0.500 0.000 0.500
0.000 0.000 0.000
0.872 0.622 0.250
0.128 0.378 0.750
0.500 0.500 0.500
0.500 0.000 0.000
0.704 0.739 0.966
0.269 0.763 0.994
0.269 0.276 0.506
0.727 0.261 0.466
0.731 0.724 0.494
0.273 0.739 0.534
0.296 0.261 0.034
0.731 0.237 0.006
```

**Raw formation energy**: -1.1876 eV/atom
**Space-group type**: Imma
**Magnetic moment**: 0.43 μB/atom
**DOS(E_F)**: 0.81 states/eV/cell
**ρ**: 3.83 g/cm3


A geometry-optimized Ce2MgAl4Zn3 structure, computed with PBE-GGA.

The structure in POSCAR format:
```
Ce2MgAl4Zn3
1.0
4.248 0.000 0.000
0.000 4.248 0.000
0.000 0.000 11.158
Ce Mg Al Zn
2 1 4 3
direct
0.500 0.000 0.242
0.000 0.500 0.758
0.500 0.500 0.500
0.500 0.500 0.000
0.000 0.000 0.000
0.500 0.000 0.647
0.000 0.500 0.353
0.000 0.000 0.500
0.500 0.000 0.868
0.000 0.500 0.132
```

**Space-group type**: P-4m2
**Energy of formation**: -0.303 eV per atom
**Magnetic moment**: 0.15 μB/atom
**DOS(E_F)**: 13.04 states/eV/cell
**ρ**: 5.02 g/cm3


A geometry-optimized PaCrC structure, computed with PBE-GGA.

The structure in POSCAR format:
```
PaCrC
1.0
-1.964 -0.785 1.958
-1.577 -1.231 -2.076
4.046 -3.027 0.723
Cr C Pa
1 1 1
direct
0.281 0.281 0.561
0.711 0.711 0.422
0.009 0.009 0.017
```

**Space-group type**: I4mm
**Polymorph energy (0 for the lowest one)**: 42 kJ/mol of formula units
**Energy of formation**: 0.230 eV per atom
**Magnetic moment**: 0.00 μB/atom
**DOS(E_F)**: 2.81 states/eV/cell
**ρ**: 12.60 g/cm3

----------

1.
Material: CaB4Os
Method: DFT, GGA-PBE
State: relaxed

Cell: 5.9924 11.5928 3.5460 Å, 90.00 90.00 90.00°
Last column: nearest neighbours and their distance in Å.
Space group Pbam (No. 55)
One atom of each set of equivalent atoms:
Ca: 0.1286 0.1501 0.0000 x4  14 B 2.64-2.77
B: 0.0254 0.6915 0.5000 x4  3 B 1.75-1.86
B: 0.1131 0.5471 0.5000 x4  3 B 1.74-1.75
B: 0.1367 0.9694 0.5000 x4  3 B 1.75-1.85
B: 0.2149 0.8153 0.5000 x4  3 B 1.83-1.86
Os: 0.1353 0.4120 0.0000 x4  10 B 2.28-2.37

Calculated values
VASP energy   -42.06 eV per formula unit
Density of states at the Fermi level   8.62 states/eV per cell


2.
Material: Ca3BOs
Method: DFT, GGA-PBE
State: relaxed
+++

[What to do]
Could you give back everything earlier on verbatim?

[Reply]
A geometry-optimized MnCdH structure, computed with PBE-GGA.

The structure in POSCAR format:
```
MnCdH
1.0
-1.695 -0.832 2.011
-1.405 -1.528 -1.817
2.809 -3.617 0.871
Mn Cd H
1 1 1
direct
0.000 0.000 0.500
0.500 0.500 0.000
0.500 0.500 0.500
```

**Space-group type**: P4/mmm
**Polymorph energy (0 for the lowest one)**: 28 kJ/mol of formula units
**Magnetic moment**: 0.94 μB/atom
**DOS(E_F)**: 0.94 states/eV/cell
**ρ**: 7.88 g/cm3


A geometry-optimized Na2LaTl2 structure, computed with PBE-GGA.

The structure in POSCAR format:
```
Na2LaTl2
1.0
9.193 0.000 0.000
0.000 9.193 0.000
0.000 0.000 3.399
Na Tl La
4 4 2
direct
0.385 0.885 0.000
0.885 0.615 0.000
0.615 0.115 0.000
0.115 0.385 0.000
0.186 0.686 0.500
0.686 0.814 0.500
0.814 0.314 0.500
0.314 0.186 0.500
0.000 0.000 0.000
0.500 0.500 0.000
```

**Space-group type**: P4/mbm
**Polymorph energy (0 for the lowest one)**: 9 kJ/mol of formula units
**Energy of formation**: -0.109 eV per atom
**Magnetic moment**: 0.08 μB/atom
**DOS(E_F)**: 7.39 states/eV/cell
**ρ**: 6.86 g/cm3


A geometry-optimized Tb4InCo2 structure, computed with PBE-GGA.

The structure in POSCAR format:
```
Tb4InCo2
1.0
6.794 0.572 0.963
0.093 7.121 -1.188
-2.667 -4.814 7.579
Tb In Co
8 2 4
direct
0.946 0.023 0.207
0.345 0.661 0.251
0.771 0.719 0.733
0.875 0.112 0.603
0.457 0.234 0.345
0.438 0.146 0.759
0.320 0.662 0.870
0.815 0.460 0.152
0.145 0.653 0.527
0.154 0.126 0.963
0.718 0.561 0.911
0.632 0.846 0.213
0.576 0.060 0.021
0.058 0.485 0.945
```

**Space-group type**: P1
**Energy of formation**: -0.166 eV per atom
**Magnetic moment**: 0.00 μB/atom
**DOS(E_F)**: 11.69 states/eV/cell
**ρ**: 8.31 g/cm3


A geometry-optimized LaMgMoS4 structure, computed with PBE-GGA.

The structure in POSCAR format:
```
LaMgMoS4
1.0
-5.986 2.313 4.410
-4.443 0.275 -6.388
3.730 -6.556 1.931
La Mg Mo S
2 2 2 8
direct
0.500 0.000 0.500
0.000 0.000 0.000
0.872 0.622 0.250
0.128 0.378 0.750
0.500 0.500 0.500
0.500 0.000 0.000
0.704 0.739 0.966
0.269 0.763 0.994
0.269 0.276 0.506
0.727 0.261 0.466
0.731 0.724 0.494
0.273 0.739 0.534
0.296 0.261 0.034
0.731 0.237 0.006
```

**Raw formation energy**: -1.1876 eV/atom
**Space-group type**: Imma
**Magnetic moment**: 0.43 μB/atom
**DOS(E_F)**: 0.81 states/eV/cell
**ρ**: 3.83 g/cm3


A geometry-optimized Ce2MgAl4Zn3 structure, computed with PBE-GGA.

The structure in POSCAR format:
```
Ce2MgAl4Zn3
1.0
4.248 0.000 0.000
0.000 4.248 0.000
0.000 0.000 11.158
Ce Mg Al Zn
2 1 4 3
direct
0.500 0.000 0.242
0.000 0.500 0.758
0.500 0.500 0.500
0.500 0.500 0.000
0.000 0.000 0.000
0.500 0.000 0.647
0.000 0.500 0.353
0.000 0.000 0.500
0.500 0.000 0.868
0.000 0.500 0.132
```

**Space-group type**: P-4m2
**Energy of formation**: -0.303 eV per atom
**Magnetic moment**: 0.15 μB/atom
**DOS(E_F)**: 13.04 states/eV/cell
**ρ**: 5.02 g/cm3


A geometry-optimized PaCrC structure, computed with PBE-GGA.

The structure in POSCAR format:
```
PaCrC
1.0
-1.964 -0.785 1.958
-1.577 -1.231 -2.076
4.046 -3.027 0.723
Cr C Pa
1 1 1
direct
0.281 0.281 0.561
0.711 0.711 0.422
0.009 0.009 0.017
```

**Space-group type**: I4mm
**Polymorph energy (0 for the lowest one)**: 42 kJ/mol of formula units
**Energy of formation**: 0.230 eV per atom
**Magnetic moment**: 0.00 μB/atom
**DOS(E_F)**: 2.81 states/eV/cell
**ρ**: 12.60 g/cm3

----------

1.
Material: CaB4Os
Method: DFT, GGA-PBE
State: relaxed

Cell: 5.9924 11.5928 3.5460 Å, 90.00 90.00 90.00°
Last column: nearest neighbours and their distance in Å.
Space group Pbam (No. 55)
One atom of each set of equivalent atoms:
Ca: 0.1286 0.1501 0.0000 x4  14 B 2.64-2.77
B: 0.0254 0.6915 0.5000 x4  3 B 1.75-1.86
B: 0.1131 0.5471 0.5000 x4  3 B 1.74-1.75
B: 0.1367 0.9694 0.5000 x4  3 B 1.75-1.85
B: 0.2149 0.8153 0.5000 x4  3 B 1.83-1.86
Os: 0.1353 0.4120 0.0000 x4  10 B 2.28-2.37

Calculated values
VASP energy   -42.06 eV per formula unit
Density of states at the Fermi level   8.62 states/eV per cell


2.
Material: Ca3BOs
Method: DFT, GGA-PBE
State: relaxed